Supported Metrics

The following tabs represent the Metric Category of IBM AS400

Tabbed Interface with Table
Metric NameDisplay NameUnitApplication VersionDescription
ibm_as400_subsystem_statusSubsystem Status1.0.0The status of the Subsystem. The status may be one of ACTIVE & INACTIVE
Metric NameDisplay NameUnitApplication VersionDescription
ibm_as400_asp_systemSystem Auxiliary Storage Pool Capacity AvailableGB1.0.0the amount of hard disk capacity available in your system Auxiliary Storage Pool (ASP).
ibm_as400_total_aux_stgAuxiliary Storage AvailableGB1.0.0The total amount of auxiliary storage available on the system
ibm_as400_pool_sizeSystem Pool Memory AssignedMB1.0.0amount of working system memory assigned to the pool
ibm_as400_reserved_sizeSystem Reserved Pool MemoryMB1.0.0storage pool memory that is used by the system
Metric NameDisplay NameUnitApplication VersionDescription
ibm_as400_no_of_jobsNumber Of Jobs Runningcount1.0.0The number of jobs in the system
ibm_as400_subsystem_active_jobsSubsystem Active Jobscount1.0.0The number of active jobs in the subsystem
Metric NameDisplay NameUnitApplication VersionDescription
ibm_as400_cpu_usedSystem CPU Percentage Used%1.0.0Percentage of CPU resources used to process jobs currently running on the system.
ibm_as400_asp_system_usedSystem ASP Percentage Used%1.0.0The percentage of disk storage in your System ASP that is currently used.
ibm_as400_temporary_addressesPercentage System Addresses%1.0.0percentage of the possible system addresses that have been created for temporary objects on AS/400
ibm_as400_permanent_addressesPossible System Addresses%1.0.0percentage of the possible system addresses that have been created for permanent objects on AS/400
ibm_as400_current_temporaryAuxilary Storage For Temporary ObjectsMB1.0.0The amount of auxilary storage for temporary objects and machine data that are currently in use
ibm_as400_peak_temporaryPeak Temporary StorageMB1.0.0The maximum amount of auxilary storage space required for temporary objects and machine data since the last Initial program load

Default Monitoring Configurations

IBM AS400 has default Global Device Management Policies, Global Templates, Global Monitors and Global Metrics in OpsRamp. You can customize these default monitoring configurations as per your business requirement by cloning respective Global Templates and Global Device Management Policies. It is recommended to clone them before installing the application to avoid noise alerts and data.

  1. Default Global Device Management Policies

    You can find the Device Management Policy for each Native Type at Setup > Resources > Device Management Policies. Search with suggested names in global scope:

    {appName nativeType - version}

    Ex: ibm-as400 IBM AS400 - 2 (i.e, appName = ibm-as400, nativeType =IBM AS400, version = 2)

  2. Default Global Templates

........
Computed powder X-ray diffraction pattern
Compound: Tc2NiAs8
Radiation: a wavelength of 1.5418 Å
Structure: a cell relaxed with GGA-PBE
Neutral-atom scattering factors, no anomalous dispersion.

Crystal structure
a b c (Å): 7.476 7.476 4.725
angles (deg): 90.00 90.00 120.00
Fractional positions:
Tc  0.333  0.667  0.275
Tc  0.667  0.333  0.725
Ni  0.000  0.000  0.500
As  0.148  0.296  0.186
As  0.148  0.852  0.186
As  0.296  0.148  0.814
As  0.333  0.667  0.762
As  0.667  0.333  0.238
As  0.704  0.852  0.186
As  0.852  0.148  0.814
As  0.852  0.704  0.814

Principal peaks in the range 2θ from 15° to 90°, sorted by position:
Position (°2θ)  intensity
23.31  37.6
23.80  85.6
27.55  78.5
33.56  100.0
38.09  36.1
41.56  49.0
47.65  85.2
48.72  96.4
53.94  32.9
63.46  39.8

Computed powder X-ray diffraction pattern
Compound: TcNiAs2
Radiation: a wavelength of 1.5418 Å
Structure: a cell relaxed with GGA-PBE
Neutral-atom scattering factors, no anomalous dispersion.

Crystal structure
a b c (Å): 3.219 4.616 4.643
angles (deg): 90.00 110.12 90.00
Fractional positions:
Tc  0.000  0.000  0.000
Ni  0.415  0.500  0.831
As  0.114  0.500  0.229
As  0.296  0.000  0.589

Principal peaks in the range 2θ from 15° to 90°, sorted by position:
Position (°2θ)  intensity
20.37  25.9
29.58  100.0
39.02  75.9
46.04  64.1
46.41  64.6
46.52  64.2
49.72  46.1
57.24  24.0
71.46  24.2
75.96  28.9

Computed powder X-ray diffraction pattern
Compound: Ni5Te2As
Radiation: a wavelength of 1.5418 Å
Structure: a cell relaxed with GGA-PBE
Neutral-atom scattering factors, no anomalous dispersion.

Crystal structure
a b c (Å): 3.772 3.772 18.926
angles (deg): 90.00 90.00 90.00
Fractional positions:
Ni  0.000  0.000  0.000
Ni  0.000  0.500  0.086
Ni  0.000  0.500  0.414
Ni  0.000  0.500  0.586
Ni  0.000  0.500  0.914
Ni  0.500  0.000  0.086
Ni  0.500  0.000  0.414
Ni  0.500  0.000  0.586
Ni  0.500  0.000  0.914
Ni  0.500  0.500  0.500
Te  0.000  0.000  0.174
Te  0.000  0.000  0.826
Te  0.500  0.500  0.326
Te  0.500  0.500  0.674
As  0.000  0.000  0.500
As  0.500  0.500  0.000

Principal peaks in the range 2θ from 15° to 90°, sorted by position:
Position (°2θ)  intensity
24.06  13.4
27.55  60.3
33.56  17.8
38.76  15.5
44.48  100.0
48.25  40.4
56.47  16.2
70.63  12.2
79.17  15.4
87.41  26.7

Computed powder X-ray diffraction pattern
Compound: TlNiAs
Radiation: a wavelength of 1.5418 Å
Structure: a cell relaxed with GGA-PBE
Neutral-atom scattering factors, no anomalous dispersion.

Crystal structure
a b c (Å): 4.206 4.231 7.570
angles (deg): 85.49 89.95 82.14
Fractional positions:
Tl  0.230  0.255  0.338
Tl  0.770  0.745  0.662
Ni  0.204  0.705  0.997
Ni  0.796  0.295  0.003
As  0.303  0.213  0.867
As  0.697  0.787  0.133

Principal peaks in the range 2θ from 15° to 90°, sorted by position:
Position (°2θ)  intensity
23.51  46.5
28.10  100.0
30.64  90.1
31.84  87.4
32.17  100.0
32.36  55.3
33.23  96.1
35.70  44.9
43.32  67.3
43.45  63.5

Computed powder X-ray diffraction pattern
........
**Back to the entry:**

    You can find the Global Templates for each Native Type at Setup > Monitoring > Templates. Search with suggested names in global scope. Each template adheres to the following naming convention:

    {appName nativeType 'Template' - version}

    Ex: ibm-as400 IBM AS400 Template - 2 (i.e, appName = ibm-as400, nativeType = IBM AS400, version = 2)

  3. Default Global Monitors

    You can find the Global Monitors for each Native Type at Setup > Monitoring > Monitors. Search with suggested names in global scope. Each Monitors adheres to the following naming convention:

    {monitorKey appName nativeType - version}

Next to the entry, the page also holds calculated crystals >
- - -
[1]
Simulated powder diffraction line list of CsPPbSe4 for copper Kα, from a GGA-PBE-relaxed structure.
Kinematic intensities with the Lorentz-polarization factor, no thermal factor.

The 6 most intense peaks (2θ from 5° to 70°), in order of rising 2θ:
(2 0 0), 9.37°, 9.439 Å, rel. 100; (0 2 0), 24.66°, 3.611 Å, rel. 62; (2 0 2), 28.00°, 3.187 Å, rel. 68; (1 1 2), 29.55°, 3.023 Å, rel. 70; (4 2 0), 31.19°, 2.868 Å, rel. 80; (2 2 2), 37.65°, 2.389 Å, rel. 67

a b c (Å): 18.8777 7.2213 6.7719
angles (deg): 90.00 90.00 90.00
Space group Pnma (No. 62)
Asymmetric unit:
Cs: 0.2075 0.2500 0.0496
P: 0.0946 0.7500 0.7820
Pb: 0.0182 0.7500 0.2902
Se: 0.0202 0.2500 0.1486
Se: 0.1166 0.5018 0.5973
Se: 0.1584 0.7500 0.0556

[2]
Simulated powder diffraction line list of Cs2P2Pd for copper Kα, from a GGA-PBE-relaxed structure.
Kinematic intensities with the Lorentz-polarization factor, no thermal factor.

The 6 most intense peaks (2θ from 5° to 70°), in order of rising 2θ:
(2 0 0), 25.42°, 3.504 Å, rel. 47; (1 3 1), 26.01°, 3.426 Å, rel. 100; (2 2 1), 31.53°, 2.838 Å, rel. 35; (1 1 2), 31.66°, 2.826 Å, rel. 23; (1 5 0), 32.37°, 2.766 Å, rel. 40; (1 3 2), 35.98°, 2.496 Å, rel. 27

a b c (Å): 7.0090 15.0491 6.3114
angles (deg): 90.00 90.00 90.00
Space group Cmcm (No. 63)
Asymmetric unit:
Cs: 0.0000 0.0832 0.2500
Cs: 0.0000 0.2893 0.7500
P: 0.1557 0.4002 0.2500
Pd: 0.0000 0.5000 0.0000

[3]
Simulated powder diffraction line list of CsPuP2S7 for copper Kα, from a GGA-PBE-relaxed structure.
Kinematic intensities with the Lorentz-polarization factor, no thermal factor.

The 6 most intense peaks (2θ from 5° to 70°), in order of rising 2θ:
(1 1 0), 11.05°, 8.005 Å, rel. 62; (0 1 1), 11.91°, 7.431 Å, rel. 73; (2 1 0), 18.61°, 4.768 Å, rel. 100; (1 2 -1), 18.94°, 4.687 Å, rel. 70; (1 1 -2), 22.23°, 3.999 Å, rel. 91; (2 2 1), 24.43°, 3.644 Å, rel. 75

a b c (Å): 10.2816 12.7625 9.1420
angles (deg): 90.00 91.26 90.00
Space group P2_1/c (No. 14)
Asymmetric unit:
Cs: 0.1018 0.1975 0.1340
Pu: 0.3652 0.6410 0.6057
P: 0.2398 0.6060 0.9756
P: 0.3235 0.0333 0.8004
S: 0.1478 0.5632 0.7862
S: 0.1547 0.7090 0.1114
S: 0.1820 0.5293 0.4258
S: 0.2637 0.0470 0.5745
S: 0.3600 0.1862 0.8524
S: 0.4150 0.6718 0.9226
S: 0.4862 0.5569 0.3248

=====

This entry pairs a crystal structure of Ba2YTlCr2O7 with its calculated powder XRD pattern. Radiation: Cu Kα X-rays. Structure: a PBE+U-relaxed structure.
Intensities are scaled so that the largest is 100.

Cell and atoms:
- - -

    Ex: IBM AS400 Monitor ibm-as400 IBM AS400 2 (i.e, monitorKey = IBM AS400 Monitor, appName = ibm-as400, nativeType = IBM AS400, version = 2)